-- To do --
It remains to give back the entries underneath from the first line to the one with "4.562 4.562" character by character.

-- Source --
=====
Sc2InHg, optimized geometry, DFT PBE-GGA; space-group type = R3m, No. 160
1.0
1.676 0.968 9.895
-1.676 0.968 9.895
0.000 -1.936 9.895
Sc In Hg
2 1 1
Direct
0.000 0.000 0.000
0.248 0.248 0.248
0.496 0.496 0.496
0.745 0.745 0.745

Sc2InHg, optimized geometry, DFT PBE-GGA; space-group type = R3m, No. 160
1.0
1.708 0.986 9.404
-1.708 0.986 9.404
0.000 -1.972 9.404
Sc In Hg
2 1 1
Direct
0.000 0.000 0.000
0.172 0.172 0.172
0.419 0.419 0.419
0.587 0.587 0.587

Sc3In2Hg3, optimized geometry, DFT PBE-GGA; space-group type = P6_3/mcm, No. 193
1.0
8.642 0.000 0.000
-4.321 7.484 0.000
0.000 0.000 6.025
Sc In Hg
6 4 6
Direct
0.000 0.325 0.250
0.000 0.675 0.750
0.325 0.000 0.250
0.325 0.325 0.750
0.675 0.000 0.750
0.675 0.675 0.250
0.333 0.667 0.000
0.333 0.667 0.500
0.667 0.333 0.000
0.667 0.333 0.500
0.000 0.326 0.750
0.000 0.674 0.250
0.326 0.000 0.750
0.326 0.326 0.250
0.674 0.000 0.250
0.674 0.674 0.750

Sc2InHg, optimized geometry, DFT PBE-GGA; space-group type = F-43m, No. 216
1.0
0.000 3.574 3.574
3.574 0.000 3.574
3.574 3.574 0.000
Sc In Hg
2 1 1
Direct
0.000 0.000 0.000
0.250 0.250 0.250
0.750 0.750 0.750
0.500 0.500 0.500

Sc4In5Hg2, optimized geometry, DFT PBE-GGA; space-group type = P2/m, No. 10
1.0
7.769 0.000 0.000
0.000 3.290 0.000
-0.939 0.000 9.858
Sc In Hg
4 5 2
Direct
0.177 0.000 0.386
0.267 0.000 0.939
0.733 0.000 0.061
0.823 0.000 0.614
0.176 0.500 0.655
0.453 0.500 0.188
0.500 0.500 0.500
0.547 0.500 0.812
0.824 0.500 0.345
0.072 0.500 0.139
0.928 0.500 0.861

Sc2InHg, optimized geometry, DFT PBE-GGA; space-group type = P4/mmm, No. 123
1.0
3.545 0.000 0.000
0.000 3.545 0.000
0.000 0.000 7.074
Sc In Hg
2 1 1
Direct
0.000 0.000 0.243
0.000 0.000 0.757
0.500 0.500 0.500
0.500 0.500 0.000

Q: Which ΔE_f values were calculated for the entries above? A: -137.6, -266.7, -232.8, -24.3, -343.2, -427.4, in meV/atom.

----------

First-principles (GGA-PBE) data for a relaxed SrCdAu2 crystal, as listed in Alexandria via LeMat-Bulk.

Computed properties:
For the energy of formation, the calculation gives -485 meV/atom. For the calculated volume, the calculation gives 96.1 Å³ per cell. For the total energy, the calculation gives -2.773 eV per atom. Its symmetry is No. 10. The value obtained for the magnetic moment is 0.0 μB per formula unit.

extended XYZ file:
```
4
Lattice="-0.0900 1.3660 -3.4873 1.7737 -3.0009 -1.2213 -4.3244 -6.1387 -2.2930" Properties=species:S:1:pos:R:3 pbc="T T T"
Sr -1.9580 -6.1717 -4.3794
Au -1.0579 -4.4617 -1.7204
Au 1.5563 -3.1091 -1.2580
Cd -0.6827 -1.6019 -2.6222
```

----------

Record 1
Material: BeNbCd3
Method: DFT, PBE
State: relaxed

abc: 4.562 4.562 4.562
angles: 90.00 90.00 90.00
Fractional coordinates of all 5 atoms:
Be1 0.000 0.000 0.000
Nb1 0.500 0.500 0.500
Cd1 0.000 0.500 0.000
Cd2 0.000 0.000 0.500
Cd3 0.500 0.000 0.000

Calculated values
space-group type	Pm-3m (221)
energy relative to the lowest polymorph listed for this composition	0.0000	eV/atom
E_tot	-0.1914	Ry/atom
ΔE_f	0.70	eV/atom



Record 2
Material: BeNb3Cd
Method: DFT, PBE
State: relaxed

abc: 4.475 4.475 4.475
angles: 90.00 90.00 90.00
Fractional coordinates of all 5 atoms:
Be1 0.000 0.000 0.000
Nb1 0.000 0.500 0.000
Nb2 0.000 0.000 0.500
Nb3 0.500 0.000 0.000
Cd1 0.500 0.500 0.500

Calculated values
space-group type	Pm-3m (221)
energy relative to the lowest polymorph listed for this composition	0.0000	eV/atom
E_tot	-0.4781	Ry/atom
ΔE_f	0.47	eV/atom



Record 3
Material: BeNbCd3
Method: DFT, PBE
=====

-- Worked solution --
Sc2InHg, optimized geometry, DFT PBE-GGA; space-group type = R3m, No. 160
1.0
1.676 0.968 9.895
-1.676 0.968 9.895
0.000 -1.936 9.895
Sc In Hg
2 1 1
Direct
0.000 0.000 0.000
0.248 0.248 0.248
0.496 0.496 0.496
0.745 0.745 0.745

Sc2InHg, optimized geometry, DFT PBE-GGA; space-group type = R3m, No. 160
1.0
1.708 0.986 9.404
-1.708 0.986 9.404
0.000 -1.972 9.404
Sc In Hg
2 1 1
Direct
0.000 0.000 0.000
0.172 0.172 0.172
0.419 0.419 0.419
0.587 0.587 0.587

Sc3In2Hg3, optimized geometry, DFT PBE-GGA; space-group type = P6_3/mcm, No. 193
1.0
8.642 0.000 0.000
-4.321 7.484 0.000
0.000 0.000 6.025
Sc In Hg
6 4 6
Direct
0.000 0.325 0.250
0.000 0.675 0.750
0.325 0.000 0.250
0.325 0.325 0.750
0.675 0.000 0.750
0.675 0.675 0.250
0.333 0.667 0.000
0.333 0.667 0.500
0.667 0.333 0.000
0.667 0.333 0.500
0.000 0.326 0.750
0.000 0.674 0.250
0.326 0.000 0.750
0.326 0.326 0.250
0.674 0.000 0.250
0.674 0.674 0.750

Sc2InHg, optimized geometry, DFT PBE-GGA; space-group type = F-43m, No. 216
1.0
0.000 3.574 3.574
3.574 0.000 3.574
3.574 3.574 0.000
Sc In Hg
2 1 1
Direct
0.000 0.000 0.000
0.250 0.250 0.250
0.750 0.750 0.750
0.500 0.500 0.500

Sc4In5Hg2, optimized geometry, DFT PBE-GGA; space-group type = P2/m, No. 10
1.0
7.769 0.000 0.000
0.000 3.290 0.000
-0.939 0.000 9.858
Sc In Hg
4 5 2
Direct
0.177 0.000 0.386
0.267 0.000 0.939
0.733 0.000 0.061
0.823 0.000 0.614
0.176 0.500 0.655
0.453 0.500 0.188
0.500 0.500 0.500
0.547 0.500 0.812
0.824 0.500 0.345
0.072 0.500 0.139
0.928 0.500 0.861

Sc2InHg, optimized geometry, DFT PBE-GGA; space-group type = P4/mmm, No. 123
1.0
3.545 0.000 0.000
0.000 3.545 0.000
0.000 0.000 7.074
Sc In Hg
2 1 1
Direct
0.000 0.000 0.243
0.000 0.000 0.757
0.500 0.500 0.500
0.500 0.500 0.000

Q: Which ΔE_f values were calculated for the entries above? A: -137.6, -266.7, -232.8, -24.3, -343.2, -427.4, in meV/atom.

----------

First-principles (GGA-PBE) data for a relaxed SrCdAu2 crystal, as listed in Alexandria via LeMat-Bulk.

Computed properties:
For the energy of formation, the calculation gives -485 meV/atom. For the calculated volume, the calculation gives 96.1 Å³ per cell. For the total energy, the calculation gives -2.773 eV per atom. Its symmetry is No. 10. The value obtained for the magnetic moment is 0.0 μB per formula unit.

extended XYZ file:
```
4
Lattice="-0.0900 1.3660 -3.4873 1.7737 -3.0009 -1.2213 -4.3244 -6.1387 -2.2930" Properties=species:S:1:pos:R:3 pbc="T T T"
Sr -1.9580 -6.1717 -4.3794
Au -1.0579 -4.4617 -1.7204
Au 1.5563 -3.1091 -1.2580
Cd -0.6827 -1.6019 -2.6222
```

----------

Record 1
Material: BeNbCd3
Method: DFT, PBE
State: relaxed

abc: 4.562 4.562 4.562